Activity >
It remains to reproduce the whole of the data underneath exactly.
File >
=====
No. 1
DFT (ωB97M-V with the def2-TZVPD basis set) results for C25H44AuO2P2 as an isolated structure in a non-equilibrium geometry.

```
! RIJCOSX wB97M-V def2-TZVPD def2/J DEFGRID3
* xyz 1 3
Au 0.528 -2.253 -6.296
C -1.797 -1.212 0.708
C -1.562 -2.231 -0.257
C 0.468 -1.591 0.607
C -0.541 -0.827 1.250
C -0.164 -2.474 -0.307
C -3.108 -0.639 1.074
H -3.918 -1.336 0.828
H -3.304 0.306 0.542
H -3.151 -0.427 2.150
C -0.307 0.168 2.314
H -1.251 0.464 2.787
H 0.191 1.077 1.937
H 0.348 -0.250 3.093
C 1.918 -1.472 0.846
H 2.130 -1.337 1.915
H 2.337 -0.605 0.309
H 2.446 -2.366 0.497
C 0.507 -3.480 -1.156
H -0.095 -4.396 -1.227
H 1.486 -3.744 -0.741
H 0.670 -3.113 -2.181
C -2.573 -2.942 -1.065
H -2.483 -4.031 -0.933
H -2.452 -2.733 -2.140
H -3.586 -2.646 -0.773
C -0.492 3.335 -0.983
C -1.322 2.291 -0.796
C -2.308 1.752 -1.785
C -1.898 1.951 -3.256
C -0.402 1.752 -3.451
C 0.360 2.912 -3.946
C 0.320 4.091 -3.299
C -0.540 4.363 -2.093
H -3.307 2.198 -1.630
H -2.191 2.956 -3.586
H -2.437 0.674 -1.583
H -1.588 4.551 -2.386
H 0.152 3.637 -0.147
H -1.399 1.856 0.207
H -0.169 5.307 -1.660
H 1.223 1.912 -0.893
H 1.002 2.774 -4.826
H 0.914 4.944 -3.648
H -2.478 1.251 -3.880
H 0.060 1.289 -2.569
P -0.035 0.128 -4.656
C -0.780 0.662 -6.200
C -0.872 -1.127 -3.668
P 2.294 -1.152 -5.844
C 1.780 0.070 -4.572
C 2.986 -0.182 -7.213
C 3.701 -2.035 -5.128
H -0.320 1.596 -6.552
H -1.853 0.840 -6.038
H -0.667 -0.121 -6.963
H -0.664 -2.127 -4.082
H -1.961 -0.973 -3.693
H -0.537 -1.099 -2.622
H 4.477 -2.120 -5.899
H 3.383 -3.038 -4.821
H 4.096 -1.488 -4.261
H 2.096 -0.276 -3.572
H 2.235 1.058 -4.747
H 3.819 -0.764 -7.629
H 3.357 0.790 -6.862
H 2.227 -0.032 -7.989
C 3.917 1.980 0.814
C 2.482 2.215 0.511
O 2.145 1.631 -0.687
O 1.678 2.825 1.205
H 4.532 2.365 -0.007
H 4.107 0.905 0.924
H 4.172 2.493 1.742
*
```

Properties
DFT total energy = -1947.51417 Ha
frontier orbital gap (alpha / beta) = 6.483 / 6.030 eV
maximum force = 4.64 eV/A
energy above the lowest of the compared OMol25 structures with the same formula, charge and spin = 4.8 kcal/mol
⟨S²⟩ = 2.021
highest occupied orbital energy (alpha / beta) = -9.1 / -9.4 eV

No. 2
DFT (ωB97M-V with the def2-TZVPD basis set) results for C25H44CeO2P2 as an isolated structure in a non-equilibrium geometry.

```
! RIJCOSX wB97M-V def2-TZVPD def2/J DEFGRID3
* xyz 1 2
Ce 0.218 0.200 0.108
C -1.642 -0.873 1.672
C -1.250 -1.950 0.815
C 0.582 -1.377 2.123
C -0.510 -0.514 2.481
C 0.127 -2.250 1.079
C -3.002 -0.275 1.753
H -3.547 -0.361 0.806
H -2.973 0.788 2.027
H -3.619 -0.780 2.515
C -0.427 0.674 3.370
H -1.318 1.305 3.276
H 0.448 1.298 3.123
H -0.336 0.406 4.432
C 1.985 -1.259 2.601
H 2.159 -1.731 3.579
H 2.281 -0.204 2.695
H 2.681 -1.731 1.898
C 0.954 -3.263 0.370
H 0.953 -4.227 0.904
H 2.004 -2.951 0.284
H 0.584 -3.465 -0.643
C -2.133 -2.664 -0.146
H -2.501 -3.600 0.302
H -1.623 -2.944 -1.076
H -3.019 -2.079 -0.418
C -0.655 2.108 -1.213
C -1.742 1.267 -1.138
C -2.204 0.351 -2.247
C -1.104 -0.369 -3.042
C 0.096 -0.864 -2.264
C 1.266 -0.163 -2.124
C 1.474 1.268 -2.540
C 0.282 2.257 -2.381
H -2.782 0.913 -3.002
H -0.786 0.268 -3.884
H -2.894 -0.384 -1.802
H -0.277 2.297 -3.325
H -0.505 2.871 -0.426
H -2.462 1.395 -0.313
H 0.756 3.238 -2.250
H 2.322 1.687 -1.973
H 2.173 -0.657 -1.728
H 1.734 1.328 -3.612
H -1.590 -1.248 -3.491
H 0.075 -1.940 -2.020
P -0.225 1.359 -6.529
C -0.303 3.205 -6.542
C -1.602 1.055 -7.722
P 2.059 -0.424 -7.309
C 1.195 1.175 -7.716
C 1.548 -1.394 -8.795
C 3.734 0.052 -7.920
H 0.567 3.595 -5.998
H -1.218 3.520 -6.025
H -0.303 3.595 -7.569
H -1.507 1.695 -8.609
H -2.542 1.284 -7.203
H -1.607 0.000 -8.019
H 3.698 0.440 -8.946
H 4.374 -0.838 -7.881
H 4.143 0.814 -7.247
H 1.908 1.999 -7.555
H 0.837 1.181 -8.761
H 2.144 -2.315 -8.806
H 1.722 -0.831 -9.721
H 0.488 -1.658 -8.705
C 3.223 3.033 2.107
C 2.359 2.630 0.944
O 2.204 3.345 -0.043
O 1.796 1.433 1.092
H 4.264 3.124 1.783
H 3.154 2.309 2.919
H 2.936 4.023 2.470
*
```

Properties
DFT total energy = -2287.08082 Ha
=====
Written answer >
No. 1
DFT (ωB97M-V with the def2-TZVPD basis set) results for C25H44AuO2P2 as an isolated structure in a non-equilibrium geometry.

```
! RIJCOSX wB97M-V def2-TZVPD def2/J DEFGRID3
* xyz 1 3
Au 0.528 -2.253 -6.296
C -1.797 -1.212 0.708
C -1.562 -2.231 -0.257
C 0.468 -1.591 0.607
C -0.541 -0.827 1.250
C -0.164 -2.474 -0.307
C -3.108 -0.639 1.074
H -3.918 -1.336 0.828
H -3.304 0.306 0.542
H -3.151 -0.427 2.150
C -0.307 0.168 2.314
H -1.251 0.464 2.787
H 0.191 1.077 1.937
H 0.348 -0.250 3.093
C 1.918 -1.472 0.846
H 2.130 -1.337 1.915
H 2.337 -0.605 0.309
H 2.446 -2.366 0.497
C 0.507 -3.480 -1.156
H -0.095 -4.396 -1.227
H 1.486 -3.744 -0.741
H 0.670 -3.113 -2.181
C -2.573 -2.942 -1.065
H -2.483 -4.031 -0.933
H -2.452 -2.733 -2.140
H -3.586 -2.646 -0.773
C -0.492 3.335 -0.983
C -1.322 2.291 -0.796
C -2.308 1.752 -1.785
C -1.898 1.951 -3.256
C -0.402 1.752 -3.451
C 0.360 2.912 -3.946
C 0.320 4.091 -3.299
C -0.540 4.363 -2.093
H -3.307 2.198 -1.630
H -2.191 2.956 -3.586
H -2.437 0.674 -1.583
H -1.588 4.551 -2.386
H 0.152 3.637 -0.147
H -1.399 1.856 0.207
H -0.169 5.307 -1.660
H 1.223 1.912 -0.893
H 1.002 2.774 -4.826
H 0.914 4.944 -3.648
H -2.478 1.251 -3.880
H 0.060 1.289 -2.569
P -0.035 0.128 -4.656
C -0.780 0.662 -6.200
C -0.872 -1.127 -3.668
P 2.294 -1.152 -5.844
C 1.780 0.070 -4.572
C 2.986 -0.182 -7.213
C 3.701 -2.035 -5.128
H -0.320 1.596 -6.552
H -1.853 0.840 -6.038
H -0.667 -0.121 -6.963
H -0.664 -2.127 -4.082
H -1.961 -0.973 -3.693
H -0.537 -1.099 -2.622
H 4.477 -2.120 -5.899
H 3.383 -3.038 -4.821
H 4.096 -1.488 -4.261
H 2.096 -0.276 -3.572
H 2.235 1.058 -4.747
H 3.819 -0.764 -7.629
H 3.357 0.790 -6.862
H 2.227 -0.032 -7.989
C 3.917 1.980 0.814
C 2.482 2.215 0.511
O 2.145 1.631 -0.687
O 1.678 2.825 1.205
H 4.532 2.365 -0.007
H 4.107 0.905 0.924
H 4.172 2.493 1.742
*
```

Properties
DFT total energy = -1947.51417 Ha
frontier orbital gap (alpha / beta) = 6.483 / 6.030 eV
maximum force = 4.64 eV/A
energy above the lowest of the compared OMol25 structures with the same formula, charge and spin = 4.8 kcal/mol
⟨S²⟩ = 2.021
highest occupied orbital energy (alpha / beta) = -9.1 / -9.4 eV

No. 2
DFT (ωB97M-V with the def2-TZVPD basis set) results for C25H44CeO2P2 as an isolated structure in a non-equilibrium geometry.

```
! RIJCOSX wB97M-V def2-TZVPD def2/J DEFGRID3
* xyz 1 2
Ce 0.218 0.200 0.108
C -1.642 -0.873 1.672
C -1.250 -1.950 0.815
C 0.582 -1.377 2.123
C -0.510 -0.514 2.481
C 0.127 -2.250 1.079
C -3.002 -0.275 1.753
H -3.547 -0.361 0.806
H -2.973 0.788 2.027
H -3.619 -0.780 2.515
C -0.427 0.674 3.370
H -1.318 1.305 3.276
H 0.448 1.298 3.123
H -0.336 0.406 4.432
C 1.985 -1.259 2.601
H 2.159 -1.731 3.579
H 2.281 -0.204 2.695
H 2.681 -1.731 1.898
C 0.954 -3.263 0.370
H 0.953 -4.227 0.904
H 2.004 -2.951 0.284
H 0.584 -3.465 -0.643
C -2.133 -2.664 -0.146
H -2.501 -3.600 0.302
H -1.623 -2.944 -1.076
H -3.019 -2.079 -0.418
C -0.655 2.108 -1.213
C -1.742 1.267 -1.138
C -2.204 0.351 -2.247
C -1.104 -0.369 -3.042
C 0.096 -0.864 -2.264
C 1.266 -0.163 -2.124
C 1.474 1.268 -2.540
C 0.282 2.257 -2.381
H -2.782 0.913 -3.002
H -0.786 0.268 -3.884
H -2.894 -0.384 -1.802
H -0.277 2.297 -3.325
H -0.505 2.871 -0.426
H -2.462 1.395 -0.313
H 0.756 3.238 -2.250
H 2.322 1.687 -1.973
H 2.173 -0.657 -1.728
H 1.734 1.328 -3.612
H -1.590 -1.248 -3.491
H 0.075 -1.940 -2.020
P -0.225 1.359 -6.529
C -0.303 3.205 -6.542
C -1.602 1.055 -7.722
P 2.059 -0.424 -7.309
C 1.195 1.175 -7.716
C 1.548 -1.394 -8.795
C 3.734 0.052 -7.920
H 0.567 3.595 -5.998
H -1.218 3.520 -6.025
H -0.303 3.595 -7.569
H -1.507 1.695 -8.609
H -2.542 1.284 -7.203
H -1.607 0.000 -8.019
H 3.698 0.440 -8.946
H 4.374 -0.838 -7.881
H 4.143 0.814 -7.247
H 1.908 1.999 -7.555
H 0.837 1.181 -8.761
H 2.144 -2.315 -8.806
H 1.722 -0.831 -9.721
H 0.488 -1.658 -8.705
C 3.223 3.033 2.107
C 2.359 2.630 0.944
O 2.204 3.345 -0.043
O 1.796 1.433 1.092
H 4.264 3.124 1.783
H 3.154 2.309 2.919
H 2.936 4.023 2.470
*
```

Properties
DFT total energy = -2287.08082 Ha